State Commission Cuts FPL Renewable Program

An audit found that the Florida Power & Light Co. program spent most of its budget on marketing and administrative costs. One industry watcher insider says other renewable-energy programs could suffer from the bad publicity.

State utility regulators this week terminated a Florida Power & Light Co. renewable-energy program after an audit found that only 20 percent of the $11.4 million collected from customer donations was spent developing renewable-energy plants.

Structure and simulated powder diffraction line list of La5ErSc (a structure optimized by DFT (PBE); a wavelength of 1.5418 Å).

Most intense lines, 2θ from 10° to 80°, sorted by position:
| two_theta | I_rel |
| --- | --- |
| 12.96 | 25 |
| 15.31 | 26 |
| 30.90 | 59 |
| 31.46 | 44 |
| 31.90 | 100 |
| 32.13 | 79 |
| 55.59 | 20 |
| 57.43 | 19 |

Cell and atoms:
```
7
Lattice="5.7883 0.0000 0.0000 -0.0146 6.4227 0.0000 -0.0135 -0.9912 6.8327" Properties=species:S:1:pos:R:3 pbc="T T T"
La 0.0000 0.0000 0.0000
La -0.0072 3.1582 1.7287
La 2.8714 4.3700 4.0842
La 2.8887 1.0615 2.7486
La 5.7674 2.2733 5.1041
Er -0.0068 -0.4956 3.4164
Sc 2.8868 3.2114 0.0000
```

Structure and simulated powder diffraction line list of LaEr3Sc7 (a structure optimized by DFT (PBE); a wavelength of 1.5418 Å).

Most intense lines, 2θ from 10° to 80°, sorted by position:
| two_theta | I_rel |
| --- | --- |
| 16.50 | 49 |
| 24.93 | 100 |
| 32.78 | 46 |
| 33.36 | 36 |
| 34.47 | 82 |
| 34.70 | 52 |
| 47.47 | 26 |
| 59.75 | 21 |

Cell and atoms:
```
11
Lattice="6.0237 -5.2534 0.0000 6.0237 5.2534 0.0000 -2.4721 0.0000 4.8735" Properties=species:S:1:pos:R:3 pbc="T T T"
La 0.0000 0.0000 0.0000
Er 4.7876 2.1810 2.4367
Er 6.0237 0.0000 0.0000
Er 4.7876 -2.1810 2.4367
Sc -1.2361 0.0000 2.4367
Sc 1.4431 1.9759 3.8009
Sc 2.8091 0.0000 1.4322
Sc 1.4431 -1.9759 3.8009
Sc 8.1321 1.9759 1.0726
Sc 6.7662 0.0000 3.4413
Sc 8.1321 -1.9759 1.0726
```

Structure and simulated powder diffraction line list of La2Er6Sc (a structure optimized by DFT (PBE); a wavelength of 1.5418 Å).

Most intense lines, 2θ from 10° to 80°, sorted by position:
| two_theta | I_rel |
| --- | --- |
| 30.59 | 56 |
| 30.69 | 54 |
| 31.05 | 53 |
| 32.17 | 100 |
| 37.95 | 59 |
| 49.80 | 23 |
| 51.42 | 14 |
| 55.98 | 31 |

Cell and atoms:
```
18
Lattice="8.1885 -5.7598 0.0000 8.1885 5.7598 0.0000 -0.7676 0.0000 5.9822" Properties=species:S:1:pos:R:3 pbc="T T T"
La 2.7798 1.2380 0.3331
La 2.3960 -1.2380 3.3242
La 13.2134 1.2380 2.6580
La 12.8296 -1.2380 5.6491
Er 7.0069 4.1124 2.9246
Er 4.3945 1.5642 3.7553
Er 8.9863 4.1124 0.0665
Er 6.3323 1.5034 1.0200
Er 4.7784 -1.5642 0.7642
Er 9.6609 1.5034 1.9711
Er 5.9485 -1.5034 4.0111
Er 10.8310 1.5642 5.2180
Er 9.2771 -1.5034 4.9622
Er 6.6231 -4.1124 5.9157
Er 11.2149 -1.5642 2.2269
Er 8.6025 -4.1124 3.0576
Sc 7.6128 1.1973 4.4866
Sc 7.9966 -1.1973 1.4955
```

Structure and simulated powder diffraction line list of La4Er5Sc (a structure optimized by DFT (PBE); a wavelength of 1.5418 Å).

Most intense lines, 2θ from 10° to 80°, sorted by position:
| two_theta | I_rel |
| --- | --- |
| 29.15 | 100 |
| 30.55 | 16 |
| 34.88 | 14 |
| 35.30 | 37 |
| 47.37 | 16 |
| 50.79 | 11 |
| 53.44 | 18 |
| 59.63 | 19 |

Cell and atoms:
```
10
Lattice="-5.3932 5.3932 2.9262 5.3932 -5.3932 2.9262 5.3932 5.3932 -2.9262" Properties=species:S:1:pos:R:3 pbc="T T T"
La 3.4492 0.0000 0.0000
La 7.3372 0.0000 0.0000
La 0.0000 3.4492 0.0000
La 0.0000 7.3372 0.0000
Er 0.0000 0.0000 1.3899
Er 3.3878 3.3878 0.0860

The Sunshine Energy program asked customers to voluntarily tack on an extra $9.75 monthly fee to their power bill.

In return for each customer's payment, the utility would oversee the purchase of 1,000 kilowatt-hours of renewable-energy credits. And for every 10,000 residential customers who signed up for the program, the Florida utility promised to develop or purchase an additional 150 kilowatts of solar power in the state.

# Inserted here: crystal structures
/*
[1]
K2CrPCO7: theoretical PXRD pattern (Cu Ka), based on a structure optimized by DFT (GGA+U).
No peak broadening, texture or thermal motion is included.

Structural model:
```
data_K2CrPCO7
_chemical_formula_sum 'K4 Cr2 P2 C2 O14'
_cell_length_a 5.586
_cell_length_b 6.698
_cell_length_c 9.725
_cell_angle_alpha 90.00
_cell_angle_beta 90.45
_cell_angle_gamma 90.00
_symmetry_space_group_name_H-M 'P 1 21/m 1'
_symmetry_Int_Tables_number 11
loop_
_symmetry_equiv_pos_as_xyz
'x,y,z'
'-x,-y,-z'
'-x,y+1/2,-z'
'x,-y+1/2,z'
loop_
_atom_site_label
_atom_site_type_symbol
_atom_site_fract_x
_atom_site_fract_y
_atom_site_fract_z
_atom_site_occupancy
K1 K 0.244 0.024 0.258 1
Cr1 Cr 0.228 0.250 0.858 1
P1 P 0.276 0.750 0.933 1
C1 C 0.271 0.250 0.605 1
O1 O 0.064 0.250 0.669 1
O2 O 0.107 0.750 0.060 1
O3 O 0.229 0.561 0.844 1
O4 O 0.296 0.250 0.478 1
O5 O 0.452 0.250 0.695 1
O6 O 0.455 0.250 0.020 1
```

Peak list (10 most intense, 10 to 90 degrees two-theta, by angle)
2θ/deg	d/Å	intensity
16.07	5.516	30
18.25	4.862	18
20.71	4.290	23
22.71	3.916	15
24.17	3.682	29
31.81	2.813	25
32.04	2.793	51
32.49	2.756	100
41.50	2.176	17
46.14	1.967	14


[2]
KCrPCO7: theoretical PXRD pattern (Cu Ka), based on a structure optimized by DFT (GGA+U).
No peak broadening, texture or thermal motion is included.

Structural model:
```
data_KCrPCO7
_chemical_formula_sum 'K2 Cr2 P2 C2 O14'
_cell_length_a 5.262
_cell_length_b 6.258
_cell_length_c 10.425
_cell_angle_alpha 90.05
_cell_angle_beta 91.23
_cell_angle_gamma 90.02
_symmetry_space_group_name_H-M 'P 1'
_symmetry_Int_Tables_number 1
loop_
_symmetry_equiv_pos_as_xyz
'x,y,z'
loop_
_atom_site_label
_atom_site_type_symbol
_atom_site_fract_x
_atom_site_fract_y
_atom_site_fract_z
_atom_site_occupancy
K1 K 0.000 0.000 0.000 1
K2 K 0.471 0.501 0.579 1
Cr1 Cr 0.016 0.890 0.432 1
Cr2 Cr 0.455 0.389 0.148 1
P1 P 0.516 0.885 0.232 1
P2 P 0.955 0.385 0.347 1
C1 C 0.528 0.371 0.922 1
C2 C 0.943 0.871 0.657 1
O1 O 0.010 0.192 0.438 1
O2 O 0.013 0.579 0.436 1
O3 O 0.129 0.381 0.231 1
O4 O 0.171 0.881 0.604 1
O5 O 0.300 0.380 0.975 1
O6 O 0.343 0.881 0.349 1
O7 O 0.458 0.078 0.143 1
O8 O 0.461 0.691 0.141 1
O9 O 0.571 0.355 0.807 1
O10 O 0.671 0.387 0.307 1
O11 O 0.708 0.377 0.016 1
O12 O 0.763 0.878 0.563 1
O13 O 0.800 0.887 0.272 1
O14 O 0.899 0.855 0.772 1
```

Peak list (10 most intense, 10 to 90 degrees two-theta, by angle)
2θ/deg	d/Å	intensity
16.52	5.365	66
19.06	4.656	39
22.07	4.027	80
23.79	3.741	100
24.30	3.663	30
28.23	3.161	48
28.52	3.129	93
34.09	2.630	33
34.36	2.610	28
44.28	2.046	29


[3]
Li12MnCr3P4C4O28: theoretical PXRD pattern (Cu Ka), based on a structure optimized by DFT (GGA+U).
No peak broadening, texture or thermal motion is included.

Structural model:
```
data_Li12MnCr3P4C4O28
_chemical_formula_sum 'Li12 Mn1 Cr3 P4 C4 O28'
_cell_length_a 8.682
_cell_length_b 6.499
_cell_length_c 10.000
_cell_angle_alpha 90.00
_cell_angle_beta 94.62
_cell_angle_gamma 90.00
_symmetry_space_group_name_H-M 'P 1 m 1'
*/
# So much for the crystal structures

More than 38,000 customers have contributed to the program, which began as a pilot project in 2003 and became a supposedly permanent program in 2006.

But the program ended Tuesday when it turned out that the majority of the money budgeted for the program had allegedly been spent on marketing and administrative costs.

Similar green-energy programs, such as those by Silicon Valley Power and Georgia Power, spend about 15 percent of their budgets for administrative and marketing costs, according to the Sun-Sentinel.

The commission said that all future customer contributions to the Florida Power & Light program would be placed into an escrow account. It also directed its staff to investigate how Green Mountain Energy Co., which supplied renewable power for the program, as well as marketing and sales services, spent its part of the program money.

Between two parts of the text: materials data:
'''
Starting from a PBE-relaxed structure, the X-ray diffraction stick pattern of LaTlAgAu was simulated for a wavelength of 1.5418 Å.
Peak positions follow from Bragg's law for the DFT cell and can differ from measured ones.

Structure:
a = 7.2990 Å, b = 7.2990 Å, c = 7.2990 Å
α = 90.00°, β = 90.00°, γ = 90.00°
Space group F-43m (No. 216)
Inequivalent atoms, fractional coordinates:
1 La 0.0000 0.0000 0.0000 x4
2 Tl 0.0000 0.0000 0.5000 x4
3 Ag 0.2500 0.2500 0.2500 x4
4 Au 0.2500 0.2500 0.7500 x4

The 10 most intense peaks (2θ = 15–90°), in order of falling intensity:
2θ = 34.76°, intensity 100, hkl 2 2 0
2θ = 62.32°, intensity 37, hkl 4 2 2
2θ = 49.98°, intensity 18, hkl 4 0 0
2θ = 83.83°, intensity 16, hkl 6 2 0
2θ = 73.38°, intensity 11, hkl 4 4 0
2θ = 21.08°, intensity 6, hkl 1 1 1
2θ = 41.01°, intensity 4, hkl 3 1 1
2θ = 54.82°, intensity 2, hkl 3 3 1
2θ = 77.34°, intensity 1, hkl 5 3 1
2θ = 66.57°, intensity 1, hkl 5 1 1

***

Starting from a PBE-relaxed structure, the X-ray diffraction stick pattern of Li2AgAu was simulated for a wavelength of 1.5418 Å.
Peak positions follow from Bragg's law for the DFT cell and can differ from measured ones.

Structure:
a = 4.4475 Å, b = 6.1702 Å, c = 4.4454 Å
α = 90.00°, β = 90.00°, γ = 90.00°
Space group Pmmn (No. 59, origin choice 2)
Inequivalent atoms, fractional coordinates:
1 Li 0.2500 0.0000 0.2494 x4
2 Ag 0.2500 0.2500 0.7493 x2
3 Au 0.2500 0.7500 0.7495 x2

The 10 most intense peaks (2θ = 15–90°), in order of falling intensity:
2θ = 28.39°, intensity 100, hkl 1 0 1
2θ = 40.99°, intensity 86, hkl 1 2 1
2θ = 28.94°, intensity 48, hkl 0 2 0
2θ = 40.58°, intensity 44, hkl 2 0 0
2θ = 50.61°, intensity 40, hkl 2 2 0
2θ = 74.10°, intensity 30, hkl 3 2 1
2θ = 24.68°, intensity 22, hkl 1 1 0
2θ = 66.50°, intensity 18, hkl 3 0 1
2θ = 66.79°, intensity 17, hkl 2 2 2
2θ = 67.65°, intensity 17, hkl 1 4 1

***

Starting from a PBE-relaxed structure, the X-ray diffraction stick pattern of LiMg2AgAu4 was simulated for a wavelength of 1.5418 Å.
Peak positions follow from Bragg's law for the DFT cell and can differ from measured ones.

Structure:
a = 4.4998 Å, b = 4.4998 Å, c = 6.8700 Å
α = 90.00°, β = 90.00°, γ = 90.00°
Space group P4/mmm (No. 123)
Inequivalent atoms, fractional coordinates:
1 Li 0.0000 0.0000 0.0000 x1
2 Mg 0.0000 0.0000 0.5000 x1
3 Mg 0.5000 0.5000 0.0000 x1
4 Ag 0.5000 0.5000 0.5000 x1
5 Au 0.0000 0.5000 0.2350 x4

The 10 most intense peaks (2θ = 15–90°), in order of falling intensity:
2θ = 38.57°, intensity 100, hkl 1 1 2
2θ = 28.04°, intensity 49, hkl 1 1 0
2θ = 40.08°, intensity 46, hkl 2 0 0
2θ = 71.81°, intensity 33, hkl 3 1 2
2θ = 25.94°, intensity 28, hkl 0 0 2
2θ = 48.36°, intensity 22, hkl 2 0 2
2θ = 68.76°, intensity 17, hkl 2 0 4
2θ = 57.97°, intensity 16, hkl 2 2 0
2θ = 82.68°, intensity 10, hkl 2 2 4
2θ = 61.34°, intensity 10, hkl 1 1 4

***

Starting from a PBE-relaxed structure, the X-ray diffraction stick pattern of LiMg2ZrAg2Au2 was simulated for a wavelength of 1.5418 Å.
'''

Florida Power & Light had submitted a plan to modify the program, but it wasn't enough to keep it alive.

A state-run review of the program published in June concluded that the energy program didn't serve the interest of the program's participants or the state's renewable-energy policies. The review also said the program didn’t give the commission enough monitoring and oversight capabilities.

The termination did not come as a surprise to Paul Fenn, CEO of Local Power, which helps government agencies set up renewable-energy programs. Fenn called utility-run programs without vigilant oversight and transparency “inherently problematic.”

"[Utilities] are financial black boxes," he said.

The Florida Power & Light situation is “a classic case of acting as though a huge energy corporation is the appropriate agent for a public purpose," he added.

The commission's decision to nix Florida Power & Light's Sunshine Energy program comes as a black mark on the utility's green reputation.

The utility had the fourth-largest green-power program in the United States in December, with 42.6 megawatts of annual sales, according to the U.S. Department of Energy.

But Fenn worries about the larger impact of Florida's Sunshine Energy program debacle.

"The headline will come out that the program was not cost effective and that customers' money was wasted," he said.

That might scare potential customers away from signing up for other renewable-energy programs, and could stop folks who have previously joined green programs from signing up again, he said.